Photo taken today of workman doing repairs on Pine St. Baptist Church‘s iron fence.
Category Archives: construction
New Fire Hydrant On S. Cherry
I was gratified to see workers installing a new hydrant yesterday (Sunday). Click here for the SeeClickFix post. Here’s a photo before the new replacement:
More City Pipe Work At The End of S. Cherry
‘Tredegar Green’ – Still No Response To Neighborhood Concerns
Venture Richmond, a very powerful special interests group, still has plans to apply for re-zoning the Tredegar Green property near Oregon Hill. Venture Richmond has talked about the need for Oregon Hill to compromise on the site’s planned use, and discussions between Venture Richmond and the neighborhood have been conducted over the last few years. However, the lawyer representing Oregon Hill, Andrew McRoberts, reports that there has been no reply from Venture Richmond representatives, not even a confirmation of the letter he sent outlining Oregon Hill’s very reasonable wishes over six months ago. All other inquiries by all residents of Oregon Hill had likewise been ignored (so much for “public-private partnership”).
The latest Venture Richmond communications to City staff reveal gross inadequacy:
No real commitment to event management planning- crowd, parking, trash, etc.
Sound levels are to be monitored, but this is meaningless because there is no decibel limit on sound, etc.
No height limitation (even though the DCC zoning would allow any owner of the property to build up to 95 feet in height by right — right in front of the Va. War Memorial’s view of the river!)
All the media has reported is that Jack Berry, Venture Richmond’s Executive Director, is planning to run for the position of Mayor of the City of Richmond. Perhaps he thinks he can do an even better job of putting off the public’s concerns than the current Mayor.
Cherry Street Closed Again
Venture Richmond Installing Stairs Along Canal
A report confirms that Venture Richmond is installing stairs on the steep slopes leading into it’s “Tredegar Green” area from the “Brown’s Island Way” street – one where the tow path intersects the street, and two on the upper tier.
Cherry Street Manhole Work
Today the crew uncovered one of the old trolley tracks on the 300 block of S. Cherry Street. (To learn more about the trollies, you may want to check out the documentary-in-progress, Richmond Had Rails.) Tomorrow morning they will be cutting it to make room for manhole which rises from directly underneath it.
New Overlooks For Hollywood Cemetery
The Times Dispatch has news of three new overlook river viewing areas planned for Hollywood Cemetery.
**The text is interrupted by records of crystals:**
┌──
# KNaMg14O15
Calculated powder XRD pattern, CuKα. Input: a crystal structure in the Materials Project, relaxed with PBE.
Kinematic intensities with the Lorentz-polarization factor, no thermal factor.

```
KNaMg14O15
1.0
4.3895 0.0000 0.0000
0.0000 8.8416 0.0000
0.0000 0.0000 8.4933
K Na Mg O
1 1 14 15
Cartesian
0.0000 0.0000 0.0000 K
0.0000 4.4208 0.6968 Na
0.0000 0.0000 4.6781 Mg
0.0000 2.1842 2.6369 Mg
0.0000 2.5004 7.0620 Mg
0.0000 4.4208 4.8509 Mg
0.0000 6.3412 7.0620 Mg
0.0000 6.6574 2.6369 Mg
2.1948 0.0000 2.5739 Mg
2.1948 0.0000 7.0131 Mg
2.1948 2.1788 4.8801 Mg
2.1948 2.2793 0.6466 Mg
2.1948 4.4208 2.7299 Mg
2.1948 4.4208 7.0372 Mg
2.1948 6.5623 0.6466 Mg
2.1948 6.6628 4.8801 Mg
0.0000 0.0000 2.7600 O
0.0000 2.0592 5.0206 O
0.0000 2.2773 0.5852 O
0.0000 4.4208 2.9131 O
0.0000 4.4208 6.8400 O
0.0000 6.5644 0.5852 O
0.0000 6.7824 5.0206 O
2.1948 0.0000 0.5715 O
2.1948 0.0000 5.0054 O
2.1948 2.1136 7.0092 O
2.1948 2.1861 2.7790 O
2.1948 4.4208 0.5954 O
2.1948 4.4208 4.9236 O
2.1948 6.6555 2.7790 O
2.1948 6.7280 7.0092 O
```

The 8 most intense peaks (10 to 90 degrees two-theta), in order of rising 2θ:
2theta  d (Å)  Rel. int.
35.75  2.512  37
40.82  2.210  96
41.13  2.195  100
42.58  2.123  72
59.34  1.557  54
60.46  1.531  42
60.69  1.526  43
75.74  1.256  37

---

# KNaMg14O15
Calculated powder XRD pattern, CuKα. Input: a crystal structure in the Materials Project, relaxed with PBE.
Kinematic intensities with the Lorentz-polarization factor, no thermal factor.

```
KNaMg14O15
1.0
4.4169 0.0000 0.0000
0.0000 8.7947 0.0000
0.0000 0.0000 8.4745
K Na Mg O
1 1 14 15
Cartesian
0.0000 0.0000 0.0000 K
0.0000 4.3973 4.7190 Na
0.0000 0.0000 4.5469 Mg
0.0000 2.1994 2.5649 Mg
0.0000 2.4747 6.8780 Mg
0.0000 4.3973 0.5580 Mg
0.0000 6.3200 6.8780 Mg
0.0000 6.5952 2.5649 Mg
2.2084 0.0000 2.5092 Mg
2.2084 0.0000 6.8478 Mg
2.2084 2.1995 4.7636 Mg
2.2084 2.2411 0.5382 Mg
2.2084 4.3973 2.6802 Mg
2.2084 4.3973 6.8612 Mg
2.2084 6.5536 0.5382 Mg
2.2084 6.5952 4.7636 Mg
0.0000 0.0000 2.6173 O
0.0000 1.9697 4.9151 O
0.0000 2.3717 0.4724 O
0.0000 4.3973 2.5597 O
0.0000 4.3973 6.9541 O
0.0000 6.4229 0.4724 O
0.0000 6.8250 4.9151 O
2.2084 0.0000 0.4701 O
2.2084 0.0000 4.8408 O
2.2084 2.0976 6.8987 O
2.2084 2.1832 2.6558 O
2.2084 4.3973 0.4907 O
2.2084 4.3973 4.8079 O
2.2084 6.6115 2.6558 O
2.2084 6.6971 6.8987 O
```

The 8 most intense peaks (10 to 90 degrees two-theta), in order of rising 2θ:
2theta  d (Å)  Rel. int.
35.77  2.510  39
40.86  2.208  100
41.05  2.199  91
42.68  2.119  77
59.31  1.558  53
60.56  1.529  45
60.71  1.526  43
75.78  1.255  38

~~~~~

Diffraction record for CrFe6W. The powder diffractogram is computed, not measured: it uses the PBE geometry in Alexandria and Cu Kα X-rays.
Lines closer than 0.1° are merged.

Structural model:
a b c (Å): 6.2057 6.2057 10.1314
angles (deg): 90.00 90.00 109.43
Fractional positions:
Cr (0.0000, 0.0000, 0.2481)
Cr (0.0000, 0.0000, 0.7519)
Cr (0.2522, 0.7478, 0.5000)
Cr (0.7478, 0.2522, 0.5000)
└──
Excerpt from article:
1.
NdZr2Pt9: theoretical X-ray diffraction stick pattern (CuKα), based on DFT lattice parameters and positions (GGA-PBE).

Principal peaks in the range 2θ from 10° to 80°, sorted by position:
d (Å), 2θ/deg, I_rel
4.103, 21.7, 4
2.901, 30.8, 4
2.461, 36.5, 1
2.369, 38.0, 100
2.052, 44.1, 49
1.835, 49.7, 2
1.675, 54.8, 1
1.451, 64.2, 32
1.359, 69.1, 1
1.237, 77.1, 37

Crystal structure
a b c (Å): 4.104 4.104 12.307
angles (deg): 90.00 90.00 90.00
Fractional positions:
1 Nd 0.000 0.000 0.000
2 Zr 0.000 0.000 0.335
3 Zr 0.000 0.000 0.665
4 Pt 0.000 0.500 0.178
5 Pt 0.000 0.500 0.500
6 Pt 0.000 0.500 0.822
7 Pt 0.500 0.000 0.178
8 Pt 0.500 0.000 0.500
9 Pt 0.500 0.000 0.822
10 Pt 0.500 0.500 0.000
11 Pt 0.500 0.500 0.339
12 Pt 0.500 0.500 0.661

***

2.
NdPu: theoretical X-ray diffraction stick pattern (CuKα), based on DFT lattice parameters and positions (GGA-PBE).

Principal peaks in the range 2θ from 10° to 80°, sorted by position:
d (Å), 2θ/deg, I_rel
3.045, 29.3, 36
3.024, 29.5, 23
2.815, 31.8, 100
2.702, 33.2, 67
2.405, 37.4, 79
2.318, 38.9, 26
1.860, 49.0, 41
1.787, 51.1, 22
1.627, 56.6, 32
1.490, 62.3, 22

Crystal structure
a b c (Å): 3.254 3.574 9.142
angles (deg): 90.00 92.35 90.00
Fractional positions:
1 Nd 0.246 0.250 0.340
2 Nd 0.754 0.750 0.660
3 Pu 0.355 0.250 0.937
4 Pu 0.645 0.750 0.063

***

3.
NdPu3: theoretical X-ray diffraction stick pattern (CuKα), based on DFT lattice parameters and positions (GGA-PBE).

Principal peaks in the range 2θ from 10° to 80°, sorted by position:
d (Å), 2θ/deg, I_rel
4.224, 21.0, 3
2.736, 32.7, 100
2.411, 37.3, 18
2.349, 38.3, 33
1.683, 54.5, 24
1.661, 55.3, 12
1.447, 64.4, 15
1.420, 65.8, 28
1.368, 68.6, 12
1.206, 79.5, 2

Crystal structure
a b c (Å): 5.856 5.856 5.856
angles (deg): 132.70 132.70 69.13
Fractional positions:
1 Nd 0.000 0.000 0.000
2 Pu 0.250 0.750 0.500
3 Pu 0.500 0.500 0.000
4 Pu 0.750 0.250 0.500

* * * * *

# Fe4O5F3
Theoretical powder diffractogram, Cu Kα (λ = 1.5418 Å). Input: a PBE+U-relaxed structure.
No peak broadening, texture or thermal motion is included.

Most intense lines, 2θ = 10–80°, sorted by position:
two_theta	Rel. int.	index
26.28	94.5	1 0 -2
27.49	91.4	1 0 2
35.03	100.0	0 2 2
39.68	17.6	1 2 -2
52.25	53.0	1 2 -4
53.62	53.3	2 2 2
67.18	28.5	3 2 0
67.34	17.5	0 2 6

Atomic structure:
```
data_Fe4O5F3
_chemical_formula_sum 'Fe8 O10 F6'
_cell_length_a 4.6989
_cell_length_b 6.1177
_cell_length_c 9.3766
_cell_angle_alpha 90.00
“It’s going to be a beautiful spot where you can really come and sit and enjoy the spectacular view,” said Kelly Jones Wilbanks, the executive director of Friends of Hollywood Cemetery.
She said construction of the first overlook is scheduled to begin with a groundbreaking Friday, and work should be complete this spring.
The structure will include landscaping and “ample seating,” she said. It’s being designed by Van Yahres Studio of BCWH Architects.
Richmond Community Solar Co-op
The Richmond Community Solar Co-op had an info session last night at Henrico County’s Tuckahoe Library.
Here is the basic information:
Want to Go Solar on Your Home or Business in the greater Richmond area? Join the Richmond Community Solar Co-op
Neighbors in Richmond have formed a solar co-op to make going solar easier and cheaper. Co-op members use their group buying power to get a discount and work with the support of the non-profit VA SUN as they go solar. VA SUN brought the first Solarize program to Virginia and has helped hundreds of homeowners go solar in the Commonwealth.
Based on the same principle as buying in bulk, co-op members purchase solar systems together to save money and share knowledge. The group uses a competitive bidding process to select a single company that will install systems on all of the participating homes. Each participant signs his or her own contract with the installer, but everyone gets the bulk discount.
By going solar as a group we can save up to 20% off the cost of a solar system. You’ll also have the support of the group instead of navigating an often-complicated process alone. VA SUN is supporting the group effort.
Contact: Aaron Sutch, VA SUN Program Manager (
Community Partner: Sekar Veerapan (